Material >
- - -
# 1
The following is a DFT calculation (ωB97M-V/def2-TZVPD) of a molecular structure, C18H18N4Na.

Relative energy (zero: lowest compared OMol25 entry of this formula, charge and spin) (kcal/mol): 0.00
HOMO level (eV): -12.42
Strongest force on any atom (eV/Å): 0.7
LUMO energy (eV): -2.4

```
! RIJCOSX wB97M-V def2-TZVPD def2/J DEFGRID3
* xyz 1 1
Na 1.2882 1.1406 -0.4470
N 0.5285 2.1071 1.5780
N 0.7189 -0.6723 0.8110
N 1.9965 -0.7399 -1.7300
N -0.8695 0.8606 -1.0634
C 2.4426 -2.0966 -3.6523
C -2.9741 1.4012 -2.0782
C 2.3947 -3.2399 -2.8750
C -0.7634 3.6658 2.8579
C 2.2320 -0.8752 -3.0354
C 2.1416 -3.1150 -1.5183
C -0.6852 1.3711 3.4991
C 1.9563 -1.8506 -0.9818
C 0.0699 3.3385 1.8012
C -1.1513 2.6575 3.7212
C -0.6179 -1.1212 0.4029
C -3.5688 0.3192 -1.4445
C 1.7452 -1.6726 0.5076
C -1.6326 1.6286 -1.8515
C 0.7614 -0.2359 2.2062
C -2.7947 -0.4760 -0.6238
C -1.4454 -0.1779 -0.4593
C 0.1574 1.1369 2.4247
H 0.2667 -0.9564 2.8705
H 2.0917 -3.9860 -0.8785
H 0.3821 4.1032 1.0993
H 2.5472 -4.2153 -3.3174
H 1.8086 -0.1955 2.5154
H 2.6844 -1.3368 0.9551
H -1.2123 -1.3703 1.2892
H -3.5358 2.0564 -2.7282
H 2.2511 0.0380 -3.6187
H 1.5194 -2.6481 0.9588
H -4.6190 0.1022 -1.5874
H -1.8076 2.8670 4.5554
H 2.6353 -2.1417 -4.7145
H -0.5181 -2.0555 -0.1567
H -1.1391 2.4699 -2.3248
H -3.2242 -1.3273 -0.1109
H -0.9653 0.5568 4.1539
H -1.0958 4.6852 2.9905
*
```

In elementary charge units, the Löwdin charges are: 0.478 0.075 -0.200 0.081 0.067 -0.043 -0.047 -0.037 -0.043 -0.108 -0.009 -0.007 -0.263 -0.111 -0.038 -0.094 -0.040 -0.125 -0.112 -0.121 -0.013 -0.237 -0.253 0.130 0.120 0.115 0.118 0.134 0.134 0.133 0.112 0.115 0.135 0.118 0.118 0.113 0.137 0.113 0.123 0.119 0.113

---

# 2
The following is a DFT calculation (ωB97M-V/def2-TZVPD) of 2 unconnected molecules or ions with the total composition C3H12N2O at a distorted geometry.

Relative energy (zero: lowest compared OMol25 entry of this formula, charge and spin) (kcal/mol): 28.61
Structure (SMILES): C[C@H](N)CN.O
HOMO level (eV): -8.49
Strongest force on any atom (eV/Å): 3.8
LUMO energy (eV): 1.0

```
! RIJCOSX wB97M-V def2-TZVPD def2/J DEFGRID3
* xyz 0 1
O 0.4136 -3.3886 3.4512
N -1.4234 0.3311 0.7987
N 1.4640 1.6122 -1.1370
C -0.1709 0.1158 -0.0654
C -0.4452 0.7876 -2.4549
C 0.1006 1.2217 -1.0557
H -2.3455 0.0958 0.4093
H -0.2226 -0.8814 -0.3803
H -0.6062 -0.2476 -2.8636
H -0.5143 2.0541 -0.6244
H 0.1515 1.3586 -3.2089
H 2.0682 0.8770 -1.4901
H 1.2109 -3.2418 2.9288
H 0.5609 0.1795 0.6811
H 1.6220 2.5337 -1.5281
H 0.3415 -4.3480 3.4928
H -1.2944 1.1139 1.3974
H -1.4720 1.2612 -2.5995
*
```

In elementary charge units, the Löwdin charges are: -0.063 -0.011 0.014 -0.225 -0.085 -0.481 0.066 0.088 0.077 0.140 0.063 0.083 0.031 0.082 0.076 0.030 0.039 0.076

---

# 3
The following is a DFT calculation (ωB97M-V/def2-TZVPD) of 16 unconnected molecules or ions with the total composition C48H112N16O16 at a distorted geometry.

Relative energy (zero: lowest compared OMol25 entry of this formula, charge and spin) (kcal/mol): 142.12
HOMO level (eV): -9.17
Strongest force on any atom (eV/Å): 3.9
LUMO energy (eV): -0.1

```
! RIJCOSX wB97M-V def2-TZVPD def2/J DEFGRID3
* xyz 0 1
O -5.7441 -4.8561 -3.2778
O -9.3816 0.8043 -6.7831
O 10.7846 0.5949 -7.5698
O 0.8106 9.9272 -1.1553
O -7.1087 7.1294 -0.9224
O 0.2021 0.8330 1.2747
O -7.1122 1.7153 5.2527
O 8.7000 3.2412 -0.5969
O 2.2517 -8.3791 6.6971
O 3.2884 -6.3220 -1.2781
O 0.5982 -1.3525 11.2662
O -5.8944 -5.1553 7.7896
O -1.0296 -0.0053 -6.7106
O -3.8152 -10.5465 2.4946
O 5.6678 3.8537 6.0268
O 7.5496 8.2209 -7.3063
N -0.0629 0.7434 -0.9729
N 4.6504 2.3109 4.7194
N -7.9888 -5.5545 8.4061
N 7.1031 6.8208 -5.5968
N -5.8217 -6.2935 -5.0472
N -3.8745 -9.4305 4.3965
N 2.0116 -7.2921 4.6727
N -0.8410 -3.0130 10.4339
N 9.3295 1.3793 -6.0501
N -7.2946 2.5493 3.2385
N -6.2954 8.1619 -2.7239
N 10.2117 2.2112 0.7253
N -9.1389 -1.1460 -5.7516
N 0.2651 1.1676 -8.0666
N 4.6341 -5.4460 -2.8711
N 0.8844 12.1758 -1.5749
C -3.6947 -9.4989 3.0697
C -7.5400 -4.8435 6.1409
- - -
What to do >
Find "4.1539" and "(eV/Å): 3.9" in the listing further up, and set down these two lines and those between, please.
Done >
H -0.9653 0.5568 4.1539
H -1.0958 4.6852 2.9905
*
```

In elementary charge units, the Löwdin charges are: 0.478 0.075 -0.200 0.081 0.067 -0.043 -0.047 -0.037 -0.043 -0.108 -0.009 -0.007 -0.263 -0.111 -0.038 -0.094 -0.040 -0.125 -0.112 -0.121 -0.013 -0.237 -0.253 0.130 0.120 0.115 0.118 0.134 0.134 0.133 0.112 0.115 0.135 0.118 0.118 0.113 0.137 0.113 0.123 0.119 0.113

---

# 2
The following is a DFT calculation (ωB97M-V/def2-TZVPD) of 2 unconnected molecules or ions with the total composition C3H12N2O at a distorted geometry.

Relative energy (zero: lowest compared OMol25 entry of this formula, charge and spin) (kcal/mol): 28.61
Structure (SMILES): C[C@H](N)CN.O
HOMO level (eV): -8.49
Strongest force on any atom (eV/Å): 3.8
LUMO energy (eV): 1.0

```
! RIJCOSX wB97M-V def2-TZVPD def2/J DEFGRID3
* xyz 0 1
O 0.4136 -3.3886 3.4512
N -1.4234 0.3311 0.7987
N 1.4640 1.6122 -1.1370
C -0.1709 0.1158 -0.0654
C -0.4452 0.7876 -2.4549
C 0.1006 1.2217 -1.0557
H -2.3455 0.0958 0.4093
H -0.2226 -0.8814 -0.3803
H -0.6062 -0.2476 -2.8636
H -0.5143 2.0541 -0.6244
H 0.1515 1.3586 -3.2089
H 2.0682 0.8770 -1.4901
H 1.2109 -3.2418 2.9288
H 0.5609 0.1795 0.6811
H 1.6220 2.5337 -1.5281
H 0.3415 -4.3480 3.4928
H -1.2944 1.1139 1.3974
H -1.4720 1.2612 -2.5995
*
```

In elementary charge units, the Löwdin charges are: -0.063 -0.011 0.014 -0.225 -0.085 -0.481 0.066 0.088 0.077 0.140 0.063 0.083 0.031 0.082 0.076 0.030 0.039 0.076

---

# 3
The following is a DFT calculation (ωB97M-V/def2-TZVPD) of 16 unconnected molecules or ions with the total composition C48H112N16O16 at a distorted geometry.

Relative energy (zero: lowest compared OMol25 entry of this formula, charge and spin) (kcal/mol): 142.12
HOMO level (eV): -9.17
Strongest force on any atom (eV/Å): 3.9